The third time Harry was sent to a safe house by Ministry protocol, everything changed.

Harry Apparated nearly on top of the tree and had to grab at it to keep himself upright. Rough bark scraped the skin of his hands but the real pain centered on his leg, where a gash bled profusely. He tapped a password against the bark and a door opened. Harry stumbled over the threshold and caught himself on the back of the chair.

The raid had not gone as expected.

Harry winced and took six deep, even breaths. We did everything by the book, he thought angrily, sliding around the chair and flinging himself into it. Rodolphus Lestrange's British estate had been gone over by Aurors. Wards had been set. Several different curses were countered as Harry'd walked through the maze of rooms. Rodolphus Lestrange had turned out to be a lot like other Death Eaters. They liked their estates to be rather ostentatiously magical, and this one had a few more traps than usual.

With a flick of his wand, Harry summoned a basket and set to work healing the wound on his leg. He poured a potion the color of parchment over the cut and hissed at how much it stung. "Fucking Death Eaters," he muttered.

The pain eased slowly over the next hour or so. At one point, Harry stripped down to his pants and wrapped a bandage around his upper thigh. It was only then that he gave the interior of this particular Ministry safe house more than a cursory glance. Not that he really had to — whether the bespelled location was hidden in a tree, a cave, a Muggle neighborhood, or a junkyard, they all looked the same. It had a bed, a chair, a table, a basket of food, and a small door that led to the tiniest of loos.

With a furtive glance at the door, Harry glanced down at his wrist. Fabian Prewett's battered old watch gleamed innocently up at him; the stars and planets revolving slowly around the face adjusted themselves as he tapped his wand against it. Once. Twice. And a third time. Mercury whizzed around at a dizzying speed and knocked into Neptune before it settled and a soft chime broke the silence in the room.

Three minutes later, a knock sounded at the door. Harry got to his feet, wincing at the pain that jolted through his leg, and hobbled over to the door. The moment he opened it, he had only the briefest of impressions of a mane a red hair, creamy skin with scattered freckles, and big brown eyes before Ginny flung herself into his arms. "Ginny," he murmured against her hair.

Her hands squeezed his shoulders. "Harry, I…"

"I know," said Harry. He nudged the door shut with his foot and caught her lips with his. Her hair was like silk as he slid his hand up to cup the back of her head. Her hands were restless, roving over him in a way that was part pleasure, part interrogation.

"You're hurt," she said.

"It's mending," he said.

But she drew back a little. There was a tiny furrow between her eyebrows and Harry kissed it. "I promise, it is mending. But here — I know you want to see it for yourself."

"Damn right," said Ginny.

"Here, let me get your cloak," said Harry. "Wait, is that my cloak?"

She shrugged. "It was closest to the door when my bracelet began to glow." It was large on her; fabric spilled around her feet like a train. "But I'm still cold, so I'll keep it on for a bit longer."

Moments later, Harry was back in the chair and telling her exactly what had happened. Everything had gone so smoothly until he'd opened that last door. The sensory charms — there to alert Rodolphus to an intruder — had fallen on him, sticking to his hair, his robes, and even his shoes. While Harry's stomach had been sinking, contemplating a lonely night in a Ministry safe house – and, more importantly, worrying over Ginny's reaction – an enchanted wire had slashed across his leg. "Robards was right behind me," Harry finished. Her fingers slid under the bandage, undoing it, and her wand prodded at his wound.

"He sent you right out?" Ginny asked. In the dim light of the single lamp, her hair looked the color of embers. Harry leaned forward and inhaled, drawing in the flowery scent he so loved.

"Yeah," Harry said, wincing when the charms she was performing began to knit his flesh. "Just gave me the location and ordered me away."

"You did the charm right away," she murmured, holding up her snitch charm bracelet.

"I did," Harry confirmed.

Brown eyes met his and held them. They weren't damp with tears, nor did she seem angry. Relief pulsed through him. "I've figured out why I... have a hard time when this happens," Ginny said. His wound tingled and then blessed cool settled over it. She'd healed him the rest of the way, which was what Ginny generally did for him. Still, despite the tender moment, it didn't escape him that she was kneeling in front of him. Pleasure stirred low in his belly and it took him a moment to piece together what she'd said.

"You mean you don't just miss me?" Harry said, giving her a cheeky smile. An answering grin flickered across her face. Her thumb stroked along his thigh, idly, almost as though she weren't aware she was touching him.

"It goes back to me missing you," she said. She shifted and her hair brushed against him. "It... when you get sent off to one of these places, I can't help but think of Bill and Fleur's wedding... the way you just disappeared. And you know — I was in love with you then, but not... not like this."

"Like this?" he said, puzzled.

She waved her hand. Her gaze did not waver. "Together how we are." Her eyes flickered downward for half a breath and her thumb rubbed over his knuckles. "With your things mussing up my loo, your robes in my closet, and Damacles. Our tree… all of it. If you broke up with me now for some noble reason…"

"I never wanted to break up with you," Harry said quietly. "Never."

"I know," said Ginny. "I told you at the time that I understood. And I did."

"I know you did," said Harry. There had been that moment of perfect understanding between them. He squeezed her hands. "You're telling me you wouldn't be so understanding again."

Calculated crystals, kept here for reference =
This record from the Materials Project database describes crystalline CrH at its relaxed geometry. The functional is PBE-GGA.

total DFT energy (no corrections) = -6.3255 eV per atom
space-group type = P6_3mc
total energy after the MP2020 corrections = -6.41 eV per atom

Cell and atoms, written as POSCAR:
```
CrH
1.0
-1.379 -2.389 0.000
-1.379 2.389 0.000
0.000 0.000 -4.501
Cr H
2 2
Cartesian
-1.379 0.796 -4.497
-1.379 -0.796 -2.247
-1.379 0.796 -2.817
-1.379 -0.796 -0.567
```


This record from the Materials Project database describes crystalline Cr2H24I3N9 at its relaxed geometry. The functional is PBE-GGA.

total DFT energy (no corrections) = -5.1923 eV per atom
space-group type = P6_3/mmc
total energy after the MP2020 corrections = -5.28 eV per atom

Cell and atoms, written as POSCAR:
```
Cr2H24I3N9
1.0
3.879 -6.719 0.000
3.879 6.719 0.000
0.000 0.000 18.323
H N Cr I
48 18 4 6
Cartesian
1.635 -2.580 13.742
3.053 -4.544 16.184
2.296 0.372 2.139
5.296 -4.012 13.742
5.199 -1.478 10.094
2.559 1.478 8.230
2.296 0.372 7.022
5.462 0.372 2.139
3.879 3.763 8.230
4.705 4.544 2.139
3.879 -3.763 10.094
1.470 1.803 2.139
2.296 -0.372 11.301
2.559 1.478 0.932
5.462 0.372 7.022
1.470 1.803 7.022
2.559 -1.478 10.094
3.052 0.126 4.581
3.053 4.544 2.139
2.462 -4.012 13.742
1.635 2.580 4.581
3.052 -0.126 13.742
4.705 -4.544 16.184
3.053 4.544 7.022
2.296 -0.372 16.184
1.470 -1.803 11.301
4.705 4.544 7.022
6.288 1.803 7.022
3.879 3.763 0.932
5.462 -0.372 11.301
4.705 -4.544 11.301
3.053 -4.544 11.301
5.199 1.478 8.230
5.462 -0.372 16.184
6.288 -1.803 16.184
6.288 1.803 2.139
2.559 -1.478 17.391
3.879 -3.763 17.391
6.123 2.580 4.581
2.462 4.012 4.581
5.199 1.478 0.932
1.470 -1.803 16.184
5.296 4.012 4.581
4.706 0.126 4.581
5.199 -1.478 17.391
6.123 -2.580 13.742
6.288 -1.803 11.301
4.706 -0.126 13.742
2.573 2.994 4.581
2.382 1.375 7.222
2.382 -1.375 11.102
5.185 2.994 4.581
3.879 -3.968 16.383
3.879 3.968 1.940
5.376 1.375 7.222
5.376 -1.375 16.383
3.879 0.731 4.581
3.879 -3.968 11.102
2.382 1.375 1.940
2.382 -1.375 16.383
3.879 -0.731 13.742
3.879 3.968 7.222
5.376 -1.375 11.102
5.185 -2.994 13.742
2.573 -2.994 13.742
5.376 1.375 1.940
3.879 -2.240 12.354
3.879 -2.240 15.131
3.879 2.240 3.192
3.879 2.240 5.969
0.000 0.000 4.581
3.879 -2.240 7.666
0.000 0.000 13.742
3.879 2.240 16.828
3.879 2.240 10.657
3.879 -2.240 1.496
```


This record from the Materials Project database describes crystalline Hf4Cr at its relaxed geometry. The functional is PBE-GGA.

total DFT energy (no corrections) = -8.9890 eV per atom
space-group type = Fd-3m

Cell and atoms, written as POSCAR:
```
Hf4Cr
1.0
-4.827 -4.827 0.000
-4.827 0.000 -4.827
0.000 -4.827 -4.827
Hf Cr
8 2
Cartesian
-1.366 -3.460 -3.460
-1.366 -1.366 -1.366
-5.874 -5.874 -5.874
-3.779 -3.779 -5.874
-5.874 -3.779 -3.779
-3.779 -5.874 -3.779
-3.460 -3.460 -1.366
-3.460 -1.366 -3.460
-7.240 -7.240 -7.240
0.000 0.000 0.000
```
Back to the page =

She paused. Their eyes were tangled together. "Yes, that's exactly what I'm saying," she said simply. "In fifth year we dated three weeks. I understood what you had to do. Merlin knows I understand even more clearly now exactly why you had to do it. Those Horcruxes," she said. Hate suffused her tone and her gaze flicked up to his scar. "But I... I want reassurance that you aren't going to make that choice again." She held up her snitch charm. "I want to know that even if something dire came up, if you were facing a threat and had to go into hiding, or — or something similar, you really would want me to come to you."

"It's about breaking up," he said. Wonder — absurd as that was — suffused him. "You're worried I'd get involved in something dangerous and feel like I needed to break up with you."

She lifted her shoulder. Her look was direct. "Do you blame me?"

He thought about that. "No," he said. "Especially not with the safe house thing bringing it up all over again." He shook his head and let his fingers tighten around hers. "In a lot of ways I feel like everything with Voldemort — it was ending a fight that started on Halloween when he killed my parents. You know what I think about the wording of the prophecy."

She nodded. "'Neither can live while the other survives,'" she quoted.

"Right," said Harry. "How could I really live with a bit of him in me? But it's over."

"It's a dangerous job, being an Auror," Ginny said. "And you have that noble streak..."

"I'm not going to sacrifice you," said Harry, trying to make it plain to her. "People have sacrificed everything for me, I've honored that, I try to live up to it. But my dad didn't go off fighting. He didn't leave my mum and me to keep us safe." He let out a small laugh. "I'm not making sense. But I'm not going to take anything on that means I'd have to give you up." The idea of it made his chest feel tight. "My life with you is my life. I'm not going to sacrifice that. You. Us."

Her hands slid out of his and cupped his jaw. "You mean that," she said.

"Of course I do," said Harry.

For half a moment, he expected her to kiss him. It was what generally happened when they were this close to one another. So it surprised him when she stood and used her wand to conjure three small swirls of light. Their subtle beams caught in her hair, making it shine, and for the space of a few breaths, Harry was transfixed. Then she undid his cloak, let it fall to the ground to pool at her feet, and he nearly swallowed his tongue.

All she wore underneath were a few wispy bits of lace that couldn't possibly be held up by anything but magic. Her skin looked especially pale against the black that concealed hardly anything at all. His eyes drifted between her breasts, lingering on each for quite some time, before he looked down to see matching knickers. He licked his lips. "You're giving me a reward, then?" he said hoarsely.

"A thank you," she said. "For drawing that line for me. I needed to hear you say it." Her eyes gave a tiny roll, and color came to her cheeks. "I'm sorry, I—"

It pleased Harry that she'd known that he would draw that line for her. He reached for her and pulled her closer, so he could kiss the tender spot just above her navel. "Don't apologize," he said. "You don't need to."

"I was quite the watering pot," she said. "I bet you thought I'd turned into Cho…"

"Never," he said. "You don't cry over everything, do you? If you do, I know it's serious. And besides, you're not Cho, you're Ginny." He thought he could handle her tears if it meant he could also be around when she laughed. When he told her this, she made a sound in the back of her throat and kissed him, hard, dropping into his lap and gripping his hair.

His blood ignited.

She banished his clothes with a twist of her wand. When she made to do the same to her lingerie, Harry protested. "No, wait!" he said. He squeezed her bum in his hands, enjoying the feel of the rough lace against his palms.

"It's a little difficult to have sex with knickers on," she told him.

"Let me do it?" Harry asked.

His arousal pulsed in his veins; his erection pointed upward toward his belly, urged even harder by her fingers circling it, squeezing it, and rubbing the tip. But Harry ignored this in favor of looking at her. Trying to take it off was like trying to pull apart a cloud, Harry realized. The lace wasn't quite solid, kept slipping through his fingers. He didn't mind – whenever he pulled at the cloudy lace, it did interesting things to his view. He kept having to press kisses against a freckle here, an exposed aureole there…

"You're enjoying this too much," she said with breathless amusement.

"So are you," Harry said. She was rocking against his leg; he could feel how hot she was. The heat increased when he took her nipple in his mouth – magical lace and all – and suckled on it and laved it with his tongue. Her slim fingers squeezed his erection in a tight grip. But Harry's attention was focused pretty tightly on her breasts… they were particularly brilliant tonight… It was some time before he noted, idly, that in the cloud of black lace that revealed and concealed and drove him nearly mad – in the best possible way – there was a thread of silver.

"Ah," Ginny moaned when the lace fell away and drifted down to the floor. "You found the silver lining."

"Weren't you the one who taught me how?" Harry asked, meaning the lace but also everything else. It didn't take him much time to find the silver lining on her knickers. "I'm going to play with those, too, but not tonight," he promised. They would have time, later, for Harry to give the lacy knickers the same attention he had the bra. "Where on earth did you get these? Did you make them?"

"I bought them from Carn Alley," she said.

"They're brilliant," Harry said. They were squirming together, nearly too impatient to fit their bodies together properly. But the tip of his erection found her slick heat, and then he was entering her. There were no more words. Ginny lowered herself down on him with one sure movement. Their eyes were locked together, and there was no charm in the world that would make Harry look away.

His hands gripped her hips and he helped her find a rhythm that made pleasure sweep over his entire body. There was so much about life with Ginny that he wouldn't give up; sex was only part of it. But at the moment, it was the most visceral part, and he held her a little tighter, watched her a little more intently, and felt a little deeper than he normally did. She matched him in intensity.

Her hair threaded around his fingers. "Never," he said, toward the end.

Her eyelids flickered closed for a moment. Their lips met. His promise seemed to reverberate through the room, seemed to imbue their love-making with an extra spice.

When it was over, and they lay nestled together like spoons in the small, Ministry-provided bed, Harry was still marveling over it. "I'm glad you came tonight," he said, entwining his fingers with hers.

"You usually make me come," she said wickedly.

He squeezed her and chuckled against her hair. "What do you mean, usually? No, I meant… I'm glad you're here with me. I'm glad we've got that sorted."

"You mean, you're glad I figured out why I was so mental?"

"Nope," he said, with the great good cheer he usually felt after an orgasm. And this one had been particularly good. "I'm glad we've got it sorted that you're never getting rid of me…"

She turned in his arms. There was a small smile curving up the corner of her lips. "Never?"

"Never," Harry said. It was another promise that seemed to fill up the entire space of the room. It felt right. "I'm not going anywhere. And if I have to, I'll need you to come with me. You wouldn't make me go alone, would you?"

"Never," she echoed. "Never, ever."


Author's Note: It's shockingly difficult for me to write with a prompt, but this was a fun little thing. I particularly enjoyed the lingerie parts – those of you in the Ginny Lovers discord will recognize this as my ode to Team Unwrap.

Hope you enjoyed!